Your job: copy the calculation results below character by character.
┌──
This entry pairs a crystal structure of Ho2Mo2C3 with its calculated powder diffraction line list. Radiation: Cu Kα. Structure: DFT lattice parameters and positions (GGA-PBE).

Peak list (6 most intense, 10° ≤ 2θ ≤ 90°, in order of rising 2θ)
2theta, I_rel
30.9, 27
31.6, 39
33.0, 43
34.4, 100
36.2, 92
43.4, 37

Structure:
Lattice parameters (Å, degrees): 11.7130 3.3394 5.7068 90.00 112.21 90.00
Space group C2/m (No. 12)
Symmetry-distinct sites (fractional):
Ho 0.1103 0.0000 0.3253
Mo 0.1571 0.5000 0.8259
C 0.0000 0.5000 0.5000
C 0.2479 0.5000 0.2343

=====

This entry pairs a crystal structure of Ho8CN3 with its calculated powder diffraction line list. Radiation: Cu Kα. Structure: DFT lattice parameters and positions (GGA-PBE).

Peak list (6 most intense, 10° ≤ 2θ ≤ 90°, in order of rising 2θ)
2theta, I_rel
30.3, 33
31.2, 100
35.9, 79
51.1, 26
52.2, 28
61.6, 27

Structure:
Lattice parameters (Å, degrees): 12.1415 7.0014 7.1566 90.00 124.48 90.00
Space group C2/m (No. 12)
Symmetry-distinct sites (fractional):
Ho 0.0076 0.2487 0.2719
Ho 0.2418 0.0000 0.7248
Ho 0.2436 0.5000 0.7281
C 0.0000 0.5000 0.5000
N 0.0000 0.0000 0.5000
N 0.2500 0.2500 0.5000

=====

Record 1
Structure and calculated PXRD pattern of RbSc3Tl2F12 (DFT lattice parameters and positions (GGA-PBE); Cu Ka).

Peak list (10 most intense, 2θ from 10° to 90°, sorted by position)
(hkl)	d (Å)	Rel. int.
0 0 3	6.322	14
1 1 0	3.952	50
1 0 4	3.898	32
0 2 1	3.368	27
1 1 3	3.351	100
0 0 6	3.161	12
1 1 6	2.468	13
0 3 3	2.146	35
2 2 0	1.976	26
4 1 3	1.454	17

Cell and atoms:
```
data_RbSc3Tl2F12
_chemical_formula_sum 'Rb3 Sc9 Tl6 F36'
_space_group_name_H-M_alt 'R -3 m'
_space_group_IT_number 166
_space_group_name_Hall '-R 3 2"'
_cell_length_a 7.9039
_cell_length_b 7.9039
_cell_length_c 18.9649
_cell_angle_alpha 90.00
_cell_angle_beta 90.00
_cell_angle_gamma 120.00
loop_
_atom_site_label
_atom_site_type_symbol
_atom_site_fract_x
_atom_site_fract_y
_atom_site_fract_z
Rb1 Rb 0.0000 0.0000 0.0000
Sc1 Sc 0.0000 0.5000 0.5000
Tl1 Tl 0.0000 0.0000 0.3606
F1 F 0.0508 0.5254 0.3965
F2 F 0.0912 0.5456 0.8173
```

---

Record 2
Structure and calculated PXRD pattern of Rb2ZrScF6 (DFT lattice parameters and positions (GGA-PBE); Cu Ka).

Peak list (10 most intense, 2θ from 10° to 90°, sorted by position)
(hkl)	d (Å)	Rel. int.
2 2 0	3.140	100
3 1 1	2.678	5
2 2 2	2.564	12
4 0 0	2.220	45
4 2 2	1.813	39
4 4 0	1.570	27
6 2 0	1.404	18
4 4 4	1.282	9
6 4 2	1.187	21
8 0 0	1.110	4

Cell and atoms:
```
data_Rb2ZrScF6
_chemical_formula_sum 'Rb8 Zr4 Sc4 F24'
_space_group_name_H-M_alt 'F m -3 m'
_space_group_IT_number 225
_space_group_name_Hall '-F 4 2 3'
_cell_length_a 8.882
_cell_length_b 8.882
_cell_length_c 8.882
_cell_angle_alpha 90.00
_cell_angle_beta 90.00
_cell_angle_gamma 90.00
loop_
_atom_site_label
_atom_site_type_symbol
_atom_site_fract_x
_atom_site_fract_y
_atom_site_fract_z
Rb1 Rb 0.250 0.250 0.250
Zr1 Zr 0.000 0.000 0.000
Sc1 Sc 0.000 0.000 0.500
F1 F 0.000 0.000 0.265
```

---

Record 3
Structure and calculated PXRD pattern of Rb3SeF7 (DFT lattice parameters and positions (GGA-PBE); Cu Ka).

Peak list (10 most intense, 2θ from 10° to 90°, sorted by position)
(hkl)	d (Å)	Rel. int.
2 1 0	3.733	14
2 0 1	3.447	100
2 1 1	3.186	18
0 0 2	3.057	29
2 2 0	2.951	44
3 1 0	2.639	14
2 1 2	2.365	39
2 2 2	2.123	33
4 1 0	2.024	14
2 0 3	1.832	16

Cell and atoms:
```
data_Rb3SeF7
_chemical_formula_sum 'Rb6 Se2 F14'
_space_group_name_H-M_alt 'P 4/m b m'
_space_group_IT_number 127
_space_group_name_Hall '-P 4 2ab'
_cell_length_a 8.346
_cell_length_b 8.346
_cell_length_c 6.115
_cell_angle_alpha 90.00
_cell_angle_beta 90.00
_cell_angle_gamma 90.00
loop_
_atom_site_label
_atom_site_type_symbol
_atom_site_fract_x
_atom_site_fract_y
_atom_site_fract_z
Rb1 Rb 0.000 0.000 0.000
Rb2 Rb 0.191 0.309 0.500
Se1 Se 0.000 0.500 0.000
F1 F 0.000 0.000 0.500
F2 F 0.114 0.614 0.234
F3 F 0.167 0.333 0.000
```

---

Record 4
└──
This entry pairs a crystal structure of Ho2Mo2C3 with its calculated powder diffraction line list. Radiation: Cu Kα. Structure: DFT lattice parameters and positions (GGA-PBE).

Peak list (6 most intense, 10° ≤ 2θ ≤ 90°, in order of rising 2θ)
2theta, I_rel
30.9, 27
31.6, 39
33.0, 43
34.4, 100
36.2, 92
43.4, 37

Structure:
Lattice parameters (Å, degrees): 11.7130 3.3394 5.7068 90.00 112.21 90.00
Space group C2/m (No. 12)
Symmetry-distinct sites (fractional):
Ho 0.1103 0.0000 0.3253
Mo 0.1571 0.5000 0.8259
C 0.0000 0.5000 0.5000
C 0.2479 0.5000 0.2343

=====

This entry pairs a crystal structure of Ho8CN3 with its calculated powder diffraction line list. Radiation: Cu Kα. Structure: DFT lattice parameters and positions (GGA-PBE).

Peak list (6 most intense, 10° ≤ 2θ ≤ 90°, in order of rising 2θ)
2theta, I_rel
30.3, 33
31.2, 100
35.9, 79
51.1, 26
52.2, 28
61.6, 27

Structure:
Lattice parameters (Å, degrees): 12.1415 7.0014 7.1566 90.00 124.48 90.00
Space group C2/m (No. 12)
Symmetry-distinct sites (fractional):
Ho 0.0076 0.2487 0.2719
Ho 0.2418 0.0000 0.7248
Ho 0.2436 0.5000 0.7281
C 0.0000 0.5000 0.5000
N 0.0000 0.0000 0.5000
N 0.2500 0.2500 0.5000

=====

Record 1
Structure and calculated PXRD pattern of RbSc3Tl2F12 (DFT lattice parameters and positions (GGA-PBE); Cu Ka).

Peak list (10 most intense, 2θ from 10° to 90°, sorted by position)
(hkl)	d (Å)	Rel. int.
0 0 3	6.322	14
1 1 0	3.952	50
1 0 4	3.898	32
0 2 1	3.368	27
1 1 3	3.351	100
0 0 6	3.161	12
1 1 6	2.468	13
0 3 3	2.146	35
2 2 0	1.976	26
4 1 3	1.454	17

Cell and atoms:
```
data_RbSc3Tl2F12
_chemical_formula_sum 'Rb3 Sc9 Tl6 F36'
_space_group_name_H-M_alt 'R -3 m'
_space_group_IT_number 166
_space_group_name_Hall '-R 3 2"'
_cell_length_a 7.9039
_cell_length_b 7.9039
_cell_length_c 18.9649
_cell_angle_alpha 90.00
_cell_angle_beta 90.00
_cell_angle_gamma 120.00
loop_
_atom_site_label
_atom_site_type_symbol
_atom_site_fract_x
_atom_site_fract_y
_atom_site_fract_z
Rb1 Rb 0.0000 0.0000 0.0000
Sc1 Sc 0.0000 0.5000 0.5000
Tl1 Tl 0.0000 0.0000 0.3606
F1 F 0.0508 0.5254 0.3965
F2 F 0.0912 0.5456 0.8173
```

---

Record 2
Structure and calculated PXRD pattern of Rb2ZrScF6 (DFT lattice parameters and positions (GGA-PBE); Cu Ka).

Peak list (10 most intense, 2θ from 10° to 90°, sorted by position)
(hkl)	d (Å)	Rel. int.
2 2 0	3.140	100
3 1 1	2.678	5
2 2 2	2.564	12
4 0 0	2.220	45
4 2 2	1.813	39
4 4 0	1.570	27
6 2 0	1.404	18
4 4 4	1.282	9
6 4 2	1.187	21
8 0 0	1.110	4

Cell and atoms:
```
data_Rb2ZrScF6
_chemical_formula_sum 'Rb8 Zr4 Sc4 F24'
_space_group_name_H-M_alt 'F m -3 m'
_space_group_IT_number 225
_space_group_name_Hall '-F 4 2 3'
_cell_length_a 8.882
_cell_length_b 8.882
_cell_length_c 8.882
_cell_angle_alpha 90.00
_cell_angle_beta 90.00
_cell_angle_gamma 90.00
loop_
_atom_site_label
_atom_site_type_symbol
_atom_site_fract_x
_atom_site_fract_y
_atom_site_fract_z
Rb1 Rb 0.250 0.250 0.250
Zr1 Zr 0.000 0.000 0.000
Sc1 Sc 0.000 0.000 0.500
F1 F 0.000 0.000 0.265
```

---

Record 3
Structure and calculated PXRD pattern of Rb3SeF7 (DFT lattice parameters and positions (GGA-PBE); Cu Ka).

Peak list (10 most intense, 2θ from 10° to 90°, sorted by position)
(hkl)	d (Å)	Rel. int.
2 1 0	3.733	14
2 0 1	3.447	100
2 1 1	3.186	18
0 0 2	3.057	29
2 2 0	2.951	44
3 1 0	2.639	14
2 1 2	2.365	39
2 2 2	2.123	33
4 1 0	2.024	14
2 0 3	1.832	16

Cell and atoms:
```
data_Rb3SeF7
_chemical_formula_sum 'Rb6 Se2 F14'
_space_group_name_H-M_alt 'P 4/m b m'
_space_group_IT_number 127
_space_group_name_Hall '-P 4 2ab'
_cell_length_a 8.346
_cell_length_b 8.346
_cell_length_c 6.115
_cell_angle_alpha 90.00
_cell_angle_beta 90.00
_cell_angle_gamma 90.00
loop_
_atom_site_label
_atom_site_type_symbol
_atom_site_fract_x
_atom_site_fract_y
_atom_site_fract_z
Rb1 Rb 0.000 0.000 0.000
Rb2 Rb 0.191 0.309 0.500
Se1 Se 0.000 0.500 0.000
F1 F 0.000 0.000 0.500
F2 F 0.114 0.614 0.234
F3 F 0.167 0.333 0.000
```

---

Record 4